The Emergencies dashboard provides key performance indicators (KPIs) for activities classified as emergencies. The dashboard provides a snapshot of the number and location of emergencies and how the service organization responds to them. These metrics help to manage emergencies.
A spatial analysis also been included to show the geographical distribution of the where the various emergencies arose. Users can also drill back to the source Oracle Utilities Mobile Workforce Management/ Oracle Real-Time Scheduler application for further details about a specific activity.
To access this dashboard:
1. Go to the Home page.
2. Select Dashboards > Mobile Workforce Analytics > Emergencies.
The dashboard includes the following dashboard pages. The data for current calendar year and month is displayed by default. You may modify the criteria per requirement.
The Emergencies dashboard page provides a geographical distribution of emergencies, monthly trend of emergencies, and yearly trend of average percentage of emergencies.
This analysis provides a geographical view of the number of emergencies by postal codes. The data is shown for the selected month.
Using the map view, business users can view the volume of emergencies in specific postal codes, and also identify which areas have more concentration of emergencies. The tabular view can be used to monitor the number of emergencies and the response time.
The color-coded region on the map shows the postal code of that geographical region, the total number of emergencies in that postal code, and the average response time in minutes for that postal code. The postal codes are colored based on the number of emergencies that can be configured by the user in the legend.
The tables display the total number of emergency activities for the service area hierarchy, service category, and postal code.
Drill Down
The Number of Emergencies column link drills down to the Emergency Details dashboard page for granular details.
The Postal Code link on the map’s pop-up window have the master-detail interaction with the Emergencies by Month and the Average Percentage of Emergencies Per Month analyses on the same dashboard page.
Clicking on a specific postal code value refreshes the two analyses to show the data for the specific postal code.
Source Object
Field Activity Fact
OAS Subject Area
MWM - Field Activity
Number of Emergencies
Emergencies by Month
This analysis shows the emergency activity distribution against each activity type and postal code. The data is shown for each month, for the previous 15 months.
Note: The postal code for which the data is shown on this analysis can also be broadcast from the Emergencies analysis on the same dashboard page.
Business users can identify the trend in the number of emergencies by postal code and how they are distributed across activity types.
Use the slider to display the data per postal code.
The bar graph shows the number of emergencies grouped under each activity type in each month. The X-axis represents the month and year. The Y-axis represents the number of emergencies. Hover over the bars for specific values.
Drill Down
The graph bars drill down to the Daily Emergencies dashboard page for the respective activity type details.
Source Object
Field Activity Fact
OAS Subject Area
MWM - Field Activity
Number of Emergencies
Average Percentage of Emergencies Per Month
This analysis provides the average percentage of emergencies of the total number of activities, per month, per postal code, for the current year and previous two years.
Note: The postal code for which the data is shown on this analysis can also be broadcast from the Emergencies analysis on the same dashboard page.
Business users can identify the trend in the number of emergencies and how they are distributed across postal codes.
Use the slider to display the data per postal code.
The bar graph shows the average percentage of emergencies per month. The X-axis represents the year. The Y-axis represents the average percentage of emergencies. Hover over the bars for specific values.
Drill Down
No drill down
Source Object
Field Activity Fact
OAS Subject Area
MWM - Field Activity
Number of Emergencies
Daily Emergencies
The Daily Emergencies dashboard page provides a daily analysis on the emergencies dealt with.
Daily Emergencies
This analysis shows the number of emergencies on each day of the selected month, broken down by activity type.
Business users can identify the daily trend in the number of emergencies and how they are distributed across activity types.
The stacked bar graph shows the number of emergencies in each activity type on each day of the selected month. The X-axis represents the day of the month. The Y-axis represents the number of emergencies. Hover over the bars for specific values.
The table displays the daily view of the number of emergencies against each activity type grouped under specific service categories.
Drill Down
The Number of Emergencies column link drills down to the Emergency Details dashboard page for specific details.
Source Object
Field Activity Fact
OAS Subject Area
MWM - Field Activity
Number of Emergencies
Emergency Response Analysis
The Emergency Response Analysis dashboard page helps to understand out of all emergencies, how many are handled on time, are late, and also the distribution per lateness categories.
Emergency Response Met vs Missed
This analysis shows the emergencies for the selected period as either missed or met SLA. The user defines whether or not the SLA status was “Met” or “Missed” on the Extendable Lookup for Response Time Deviation in the “SLA Status” field.
Business users get a snapshot of the percentage of emergency activities that missed the SLA. They can initiate corrective actions if this is larger.
The pie chart shows the distribution of emergencies per the SLA status.
Drill Down
The pie chart drills down to the Emergency Details dashboard page for granular details.
Source Object
Field Activity Fact
OAS Subject Area
MWM - Field Activity
% of emergency responses which met/missed the SLA
Emergency Response Trend
This analysis shows the percentage of emergencies whose response time overshot the SLA.
Business users can identify any trends in the emergency responses overshooting the SLA. They can initiate corrective actions if a large percentage of emergency responses do not meet the SLA.
The bar graph shows the percentage of emergencies of the total emergencies whose SLA was missed, for the previous 15 months. The X-axis represents the month and year. The Y-axis represents the percentage of emergencies that missed the SLA out of the total emergencies. Hover over the bars for specific details.
Drill Down
The graph bars drill down to the Emergency Details dashboard page for specific details.
Source Object
Field Activity Fact
OAS Subject Area
MWM - Field Activity
% of emergency responses which missed the SLA
Emergency Responses - On Time or Early
This analysis shows the emergencies that are either being on time or early sliced by the time. The data is shown for the selected month.
Business users can identify the reasons for responses being on time or early and try to implement similar scenarios in other situations as well.
The pie chart shows the emergency responses grouped under various response time buckets.
Drill Down
No drill down
Source Object
Field Activity Fact
OAS Subject Area
MWM - Field Activity
% of timely emergency responses sliced by time buckets
Emergency Responses - Late
This analysis shows emergencies whose response time was missed, per lateness bucket, for the selected month. The emergency lateness buckets are configurable.
Business users can identify the time buckets with most delayed emergency responses and start analyzing deeper to determine the root causes.
The pie chart shows the emergency responses grouped under lateness buckets.
Drill Down
No drill down
Source Object
Field Activity Fact
OAS Subject Area
MWM - Field Activity
% of late emergency responses sliced by time buckets
Emergency Response Time
The Emergency Response Time dashboard page gives a detailed insight into time related metrics about emergency responses, such as response time trends, top mobile workers or crews, and postal areas with high response time, response times by day of week.
Emergency Responses Missed By Activity Type
This analysis shows the percentage of emergency responses that missed the SLA, sliced by the activity type. The data is shown for the selected month.
Business users can identify the activity types with a high percentage of the emergency responses missing the SLA.
The pie chart shows the distribution of emergency responses that missed SLA, grouped by activity type.
Drill Down
No drill down
Source Object
Field Activity Fact
OAS Subject Area
MWM - Field Activity
% Emergencies Missing SLA by Activity Type
Emergency Response Time - By Day Of The Week
This analysis shows how emergency response time varies with different days of the week. The data is shown for the selected month.
Business users can identify which days of the week have higher response times.
The stacked bar shows the total response time in four stacks - each stack indicating a specific usage time bucket (the amount of time spend from creation to dispatch, from dispatch to enroute, from enroute to start, and from start to completion).
The X-axis represents the day of the week. The Y-axis represents the response time in minutes. Hover over the bars for the average of each stack for each week day.
Drill Down
No drill down
Source Object
Field Activity Fact
OAS Subject Area
MWM - Field Activity
Response Time
Top 10 Crews with Highest Average Emergency Response Time
This analysis shows the top 10 mobile workers or crews with the highest average response time across all emergencies they attended in the selected month.
Business users can identify the crews with highest average response time and investigate further on why their response times are on the higher side.
The bar graph shows the mobile workers or crews with the highest average response times. The X-axis represents the mobile worker or crew. The Y-axis represents the response time in minutes. Hover over the bars for specific details.
Drill Down
No drill down
Source Object
Field Activity Fact
OAS Subject Area
MWM - Field Activity
Crew with Highest Average Response Time
Top 10 Postal Codes with Highest Average Emergency Response Time
This analysis shows the top 10 postal codes with the highest average response time across all emergencies that arose in those postal areas.
Business users can identify the postal codes with the highest average response time and analyze the specific reasons for mobile workers or crews not meeting SLAs in those areas.
The bar graph shows the postal codes with the highest response times. The X-axis represents the postal code. The Y-axis represents the response time in minutes. Hover over the bars for specific details.
Drill Down
No drill down
Source Object
Field Activity Fact
OAS Subject Area
MWM - Field Activity
Postal Codes with Highest Average Response Time
Response Time Trend
This analysis gives a snapshot of how the average response time for emergencies is trending for a specific activity type over the last 15-month period.
'''
Record 1
Calculated PXRD pattern
Compound: Nd2Tm5ThSc
Radiation: Cu Kα (λ = 1.5418 Å)
Structure: a crystal structure in Alexandria, relaxed with PBE
Intensities are scaled so that the largest is 1000.

Structure:
Cell: 5.5488 22.4035 9.1823 Å, 90.00 90.00 90.00°
Space group Cmc2_1 (No. 36)
Asymmetric unit:
Nd1 0.0000 0.1155 0.0000 [4 per cell]
Nd2 0.0000 0.1392 0.5633 [4 per cell]
Tm1 0.0000 0.0017 0.2741 [4 per cell]
Tm2 0.0000 0.2658 0.9348 [4 per cell]
Tm3 0.0000 0.2974 0.5628 [4 per cell]
Tm4 0.0000 0.3870 0.2414 [4 per cell]
Tm5 0.0000 0.4797 0.5291 [4 per cell]
Th1 0.0000 0.3982 0.8285 [4 per cell]
Sc1 0.0000 0.2170 0.2615 [4 per cell]

Peak list (12 most intense, 2θ from 10° to 90°, sorted by position)
2theta, intensity, h k l
20.91, 52, 0 2 2
25.76, 64, 0 6 1
27.91, 219, 1 3 2
30.27, 64, 0 2 3
31.96, 80, 0 8 0
32.25, 1000, 2 0 0
33.72, 348, 1 1 3
46.05, 59, 2 8 0
51.69, 56, 2 0 4
57.52, 154, 3 5 2
58.47, 72, 3 1 3
67.50, 59, 4 0 0


Record 2
Calculated PXRD pattern
Compound: NdSc3Tl
Radiation: Cu Kα (λ = 1.5418 Å)
Structure: a crystal structure in Alexandria, relaxed with PBE
Intensities are scaled so that the largest is 1000.

Structure:
Cell: 13.9740 12.4469 6.2578 Å, 90.00 104.54 90.00°
Space group C2/c (No. 15)
Asymmetric unit:
Nd1 0.1062 0.0701 0.4696 [8 per cell]
Sc1 0.1054 0.1943 0.9639 [8 per cell]
Sc2 0.1918 0.3165 0.6413 [8 per cell]
Sc3 0.1948 0.4232 0.1403 [8 per cell]
Tl1 0.0000 0.3219 0.2500 [4 per cell]
Tl2 0.0000 0.4170 0.7500 [4 per cell]

Peak list (12 most intense, 2θ from 10° to 90°, sorted by position)
2theta, intensity, h k l
13.09, 649, 2 0 0
20.96, 295, 3 1 0
29.45, 160, 1 1 -2
32.68, 553, 1 1 2
33.55, 1000, 2 4 -1
33.91, 508, 5 1 0
34.44, 510, 4 0 -2
35.09, 481, 3 3 1
45.93, 173, 3 5 1
49.10, 181, 1 3 -3
50.86, 167, 7 3 -1
61.12, 185, 6 4 -3


Record 3
Calculated PXRD pattern
Compound: NdTmSc4
Radiation: Cu Kα (λ = 1.5418 Å)
Structure: a crystal structure in Alexandria, relaxed with PBE
Intensities are scaled so that the largest is 1000.

Structure:
Cell: 5.3338 10.2667 5.9504 Å, 90.00 90.00 90.00°
Space group Pmmn (No. 59, origin choice 2)
Asymmetric unit:
Nd1 0.2500 0.2500 0.0760 [2 per cell]
Tm1 0.2500 0.7500 0.5764 [2 per cell]
Sc1 0.2500 0.0791 0.5867 [4 per cell]
Sc2 0.2500 0.5801 0.0881 [4 per cell]

Peak list (12 most intense, 2θ from 10° to 90°, sorted by position)
2theta, intensity, h k l
17.26, 320, 0 2 0
24.02, 381, 1 1 1
30.09, 243, 0 0 2
33.60, 241, 2 0 0
34.57, 1000, 1 3 1
38.02, 95, 2 2 0
38.85, 78, 1 2 2
45.72, 149, 2 0 2
53.39, 123, 0 3 3
60.71, 186, 3 3 1
64.58, 135, 2 3 3
65.29, 94, 1 6 2


Record 4
Calculated PXRD pattern
Compound: Nd2Tm5Sc4
Radiation: Cu Kα (λ = 1.5418 Å)
Structure: a crystal structure in Alexandria, relaxed with PBE
Intensities are scaled so that the largest is 1000.

Structure:
Cell: 3.3721 8.6693 22.4205 Å, 90.00 90.00 90.00°
Space group Immm (No. 71)
Asymmetric unit:
Nd1 0.0000 0.0000 0.2322 [4 per cell]
Tm1 0.0000 0.1967 0.3629 [8 per cell]
'''
Business users can analyze the trends in monthly average response time for all emergencies.
The line graph shows the monthly average response time for the selected month and previous 14 months. It also shows moving average of the average response time.
The X-axis represents the month and year. The Y-axis represents the response time in minutes. Hover over the lines for specific details.
Drill Down
No drill down
Source Object
Field Activity Fact
OAS Subject Area
MWM - Field Activity
Average Response Time, Moving Response Time
Emergency Details
The Emergency Details dashboard page shows a list of emergencies with detailed information.
Emergency Details
This analysis shows the emergency activity details and the status of SLA for each emergency.
Business users can use this detail-level analysis to navigate back to the source Oracle Utilities Mobile Workforce Management/ Oracle Real-Time Scheduler system and view specific details pertaining to emergencies on the MWM Activity page.
The table displays the details of emergency activities, such as the time from creation to dispatch, dispatch to enroute, response time to complete, enroute to onsite, and the total response time. Along with the response time deviation, it also displays the SLA status of the emergencies grouped by activity type and service category.
Drill Down
The Activity column link drills back to the Activity page in the Oracle Utilities Mobile Workforce Management system for more details about the selected activity.
Source Object
Field Activity Fact
OAS Subject Area
MWM - Field Activity
Creation to Dispatch, Dispatch to Enroute, Response Time to Complete, Enroute to On Site, Total Response Time